Monday, August 30, 2010

Mystery Gift Exchange!

So another one bites the dust! This adventure was told to me by my new friend Layla. She had us collectively think of 10 things that were smaller than a shoe box and the total amount of them couldn't cost more than $10.00. We had to come up with a gift for each other using everyone of those items. Well I will admit that I didn't do it right but it was fun either way. We could use the items anyway we wanted. So she is much more creative then me, but a caterpiller was one of the items and I got a little dump truck that said caterpiller on the back and she made a little caterpiller out of a noodle and craft items. She is much more craftier than me! So anyways, Layla and I finally decided to exchange gifts after a couple of months. We met at the zoo, I was so grateful to finally get to see her face. We had only talked through facebook before. Had a wonderful day that the zoo, getting to know her family and spending time with another friend. Then we exchanged gifts, hers was wrapped up in a beautiful scarf, which is so like her, and i saw my new treasure box. I was thrilled, and a little embarassed at my feeble attempt to finish mine, but the thought is the same. I love handmade gifts, the time and energy that someone has made something for me and only me. Now I am not a big fan of crocheted potholders, or scarfs, they remind me of itchy things and oldy, moldy stuff. But my friend made Joslyn a beautiful crocheted sweater, and it was soft and perfect for her. Its all about the love in the gift. If you forget to add the love in the gift, well might as well send it back to the store. When you add love, it doesn't matter what the gift is, they will probably remember it more. There was so much love in Layla's gift, I will never forget it! Thanks my new true friend!

[1]
A cluster of 9 separate species, C33H63N3O18S6 in total, computed with the ωB97M-V functional and the def2-TZVPD basis.

Geometry (Å):
C: 26.162 -13.424 5.700
C: 26.055 -12.221 6.700
O: 27.284 -11.574 6.834
S: 27.429 -9.927 6.456
C: 26.898 -9.364 8.056
O: 28.791 -9.472 6.280
O: 26.386 -9.625 5.460
H: 26.619 -13.114 4.760
H: 25.152 -13.823 5.613
H: 26.851 -14.168 6.100
H: 25.300 -11.505 6.377
H: 25.776 -12.551 7.701
H: 27.768 -9.242 8.701
H: 26.205 -10.077 8.503
H: 26.412 -8.405 7.877
C: 13.605 -9.774 3.683
C: 13.848 -9.892 2.184
O: 13.633 -8.706 1.404
S: 14.864 -7.628 1.249
C: 15.682 -8.284 -0.317
O: 14.371 -6.282 1.075
O: 15.761 -7.838 2.377
H: 14.396 -9.209 4.176
H: 13.677 -10.756 4.150
H: 12.599 -9.429 3.924
H: 14.859 -10.275 2.039
H: 13.286 -10.699 1.715
H: 14.882 -8.318 -1.056
H: 15.926 -9.316 -0.069
H: 16.460 -7.578 -0.610
C: 23.732 -10.072 -2.470
C: 24.413 -9.895 -1.069
O: 23.999 -8.721 -0.327
S: 22.446 -8.512 0.020
C: 22.675 -7.239 1.363
O: 21.877 -7.891 -1.123
O: 21.808 -9.690 0.695
H: 23.906 -11.102 -2.782
H: 23.986 -9.418 -3.304
H: 22.645 -10.056 -2.389
H: 24.250 -10.649 -0.299
H: 25.483 -9.789 -1.251
H: 23.131 -7.803 2.177
H: 21.671 -6.926 1.651
H: 23.322 -6.429 1.027
C: 16.601 -2.498 8.065
C: 16.793 -1.778 9.370
O: 15.603 -1.110 9.668
S: 15.298 0.470 9.278
C: 16.316 1.370 10.474
O: 15.838 0.779 7.932
O: 13.867 0.836 9.545
H: 16.274 -3.527 8.213
H: 17.504 -2.400 7.463
H: 15.834 -2.076 7.415
H: 17.053 -2.474 10.168
H: 17.585 -1.038 9.255
H: 15.947 1.105 11.464
H: 16.164 2.443 10.360
H: 17.387 1.195 10.374
C: 13.438 -4.693 17.130
C: 13.584 -6.200 16.968
O: 13.397 -6.722 15.643
S: 14.730 -7.052 14.673
C: 15.179 -8.719 15.416
O: 14.231 -7.304 13.315
O: 15.875 -6.155 15.010
H: 13.409 -4.291 18.143
H: 12.431 -4.534 16.743
H: 14.118 -4.150 16.474
H: 14.608 -6.321 17.324
H: 12.882 -6.607 17.696
H: 16.016 -9.191 14.902
H: 14.218 -9.214 15.272
H: 15.375 -8.690 16.488
C: 14.228 -13.920 10.884
C: 13.763 -15.041 11.866
O: 12.871 -14.495 12.804
S: 11.936 -15.499 13.658
C: 13.082 -15.833 15.051
O: 10.761 -14.806 14.258
O: 11.757 -16.786 12.948
H: 14.022 -13.026 11.472
H: 13.693 -14.106 9.953
H: 15.303 -13.907 10.706
H: 13.174 -15.829 11.396
H: 14.524 -15.633 12.375
H: 13.552 -14.862 15.206
H: 13.826 -16.575 14.762
H: 12.518 -16.287 15.866
C: 19.019 -16.982 4.240
C: 17.715 -17.336 4.598
C: 16.638 -16.482 4.280
N: 16.844 -15.280 3.699
C: 18.179 -14.913 3.466
C: 19.248 -15.768 3.670
H: 19.821 -17.668 4.469
H: 17.501 -18.204 5.205
H: 15.608 -16.754 4.453
H: 18.344 -13.893 3.151
H: 20.253 -15.502 3.378
C: 22.970 -1.727 15.712
C: 22.638 -0.837 14.701
C: 21.760 -1.229 13.714
N: 21.135 -2.441 13.761
C: 21.487 -3.361 14.666
C: 22.465 -3.027 15.672
H: 23.685 -1.525 16.496
H: 23.033 0.166 14.631
H: 21.433 -0.477 13.011
H: 20.878 -4.253 14.684
H: 22.669 -3.678 16.510
C: 18.567 -8.641 8.691
C: 19.006 -9.353 7.570
C: 20.333 -9.347 7.223
N: 21.292 -8.714 7.918
C: 20.882 -7.989 8.974
C: 19.572 -8.038 9.402
H: 17.539 -8.529 9.005
H: 18.312 -9.971 7.020
Here the article continues.

Sunday, August 8, 2010

The purpose of purpose....

I need to know my purpose! Is my purpose for God only to raise Joslyn right in the Lord and help her to know him. Don't get me wrong, that is the goal of my life! But, that can't be it. I have this desire to do. Do what, I don't know! So long I have lived my life in a box, a comfortable box that was safe and as unscary as I could make it. I am tired of being scared to tear through that box. Well I will tear through that box! God has an amazing purpose for me, and my box will be no where in sight. Through his grace and mercy, I hope to live an amazing life, being content that I am doing his will and that I will be a part of impacting the world for him.
I have vowed to take a year off of commitments. That means no leadership roles or serving positions in church until I am sure that I am at the place that I need to be and that I am living the role I was born to fill. Where that will be, I don't know yet. But, I do know that today, I finally figured out that I have been looking in all the wrong places to find out where that should be. I have been asking my friends, baiting my husband for clues, and searching in valleys, when all I had to do was ask my Lord! Sometimes I think that I am so dense. I mean, I know beyond a shadow of a doubt that God has given me my desires and dreams, and that what he can produce in our lives can fulfill us past full. I know that he speaks to us in many ways, but I didn't think of sitting down, reading his word, and simply asking him to show me my path. Duh! The Bible study that we had in Sunday school was awesome, it was about the Acts 2 church and how do we get to be Spirit filled? I want to be spirit filled, but one of my fears was becoming a spirit filled crazy person, who looked crazy to the outside world. Well, forgive me if I offend anyone, but crazy is not living life to the fullest. Crazy is sitting in your box and not using what God gave you. I am learning this lesson. I've been crazy, I'm going crazy by not knowing what I am supposed to do. I'm tired of crazy, I want to be filled with the spirit no matter how it looks to the outside world!
So I am going to change that, all I have to do is focus my eyes on Jesus. He will lead me out of this wandering path, give me a purpose and help my dreams come true. Tonight I wrote down my questions for God and read Romans chapter 16. I got good incite into what kind of person God is wanting me to be. Goood reading. I said my prayers. I hope to do this every night and spend most of the day, making a conceious effort to talk and pray to God. I can't wait to see what he has to say. It feels good to call up on God, knowing that he will answer me. Sorry God that I haven't called in a while and that I haven't read your letters. I will do better! Amen!